Request >
Now start at the top of the rows underneath and type out each line, ending with the one that has "-5.096".

File >
********
Record 1
Below is a single C5H9N5O molecule, with properties calculated with ωB97M-V/def2-TZVPD.

Computed properties:
molecular weight: 155.161 g/mol
E_tot: -544.7594 Eh
charge: 0
ΔE to the lowest compared entry with this formula, charge and spin: 5.345 eV
Kohn-Sham gap (spin up / spin down): 7.83 / 7.83 eV

Element x y z (Å)
C 1.374 -1.170 -1.599
C 1.362 0.098 -2.104
C -0.795 0.051 0.888
C -1.809 -1.332 2.811
C -0.598 -0.958 2.002
N 0.682 -1.311 -0.466
N 0.157 -0.034 -0.132
N 0.582 0.831 -1.201
N 1.076 2.703 -2.353
N 0.429 2.090 -1.243
O -1.644 0.931 0.856
H 2.021 -1.934 -2.046
H 1.688 0.599 -3.052
H -2.767 -1.449 2.105
H -1.667 -2.184 3.415
H -1.956 -0.399 3.399
H -0.114 -1.930 1.524
H 0.174 -0.648 2.740
H 0.989 3.714 -2.348
H 0.819 2.332 -3.197

Record 2
Below is 2 unconnected molecules or ions with the total composition C5H9N5O2, with properties calculated with ωB97M-V/def2-TZVPD.

Computed properties:
molecular weight: 171.160 g/mol
E_tot: -620.1715 Eh
charge: 0
ΔE to the lowest compared entry with this formula, charge and spin: 0.000 eV
Kohn-Sham gap: 9.38 eV
SMILES string: Nc1ncc(C=O)c(=O)n1N.N

Element x y z (Å)
N -1.668 -1.709 -0.529
C -0.367 -1.276 -0.363
N 0.545 -2.163 0.002
C 1.763 -1.635 0.283
C 2.102 -0.341 0.180
C 3.424 0.161 0.549
O 3.739 1.279 0.854
C 1.192 0.599 -0.371
O 1.403 1.718 -0.763
N -0.098 0.047 -0.586
N -0.884 0.819 -1.432
H -2.342 -1.116 -0.890
H -1.647 -2.651 -0.205
H 2.532 -2.332 0.551
H 4.104 -0.681 0.579
H -0.339 1.703 -1.618
H -1.685 1.116 -0.916
N -2.915 1.359 1.007
H -3.644 2.032 0.638
H -2.052 1.905 0.986
H -3.165 1.167 2.044

Record 3
Below is a molecular structure, C5H9N5PdSe2Te2, with properties calculated with ωB97M-V/def2-TZVPD.

Computed properties:
molecular weight: 658.702 g/mol
E_tot: -5936.5404 Eh
charge: -2
ΔE to the lowest compared entry with this formula, charge and spin: 1.182 eV
Kohn-Sham gap: 4.69 eV

Element x y z (Å)
Pd 0.243 -0.422 0.501
Se 0.180 -1.867 4.720
Te 0.068 -2.169 2.290
Te 2.378 -1.561 1.120
Se 0.688 -0.050 -1.949
N 1.909 3.776 -1.393
C 1.860 2.836 -0.388
N 2.923 2.018 -0.265
N 0.893 2.925 0.474
C 0.653 2.005 1.387
N 0.345 1.396 2.333
H 2.286 3.406 -2.253
H 1.011 4.214 -1.522
H 3.401 1.793 -1.124
H 2.719 1.166 0.251
C -3.070 -2.875 -0.300
C -1.862 -2.127 -0.872
C -1.680 -0.836 -0.181
N -1.917 0.186 0.348
H -3.118 -3.883 -0.716
H -3.997 -2.351 -0.541
H -2.992 -2.944 0.786
H -1.966 -1.912 -1.937
H -0.955 -2.725 -0.769

Record 4
Below is a molecular structure, C5H9N5Tl, with properties calculated with ωB97M-V/def2-TZVPD.

Computed properties:
molecular weight: 343.545 g/mol
E_tot: -640.9858 Eh
charge: +3
Kohn-Sham gap (spin up / spin down): 7.37 / 4.98 eV

Element x y z (Å)
Tl -0.629 2.152 1.262
C 0.055 -0.819 7.755
C 0.762 -1.092 6.476
C 0.453 -0.361 5.309
N 0.195 0.246 4.338
H 0.153 -1.656 8.449
H -0.971 -0.469 7.651
H 0.621 -0.004 8.271
H 0.621 -2.193 6.165
H 1.875 -1.231 6.535
N -1.052 5.358 -5.163
C -2.285 5.140 -4.756
N -3.349 5.360 -5.488
N -2.545 4.683 -3.489
C -2.003 4.158 -2.499
N -1.609 3.651 -1.499
H -0.852 5.751 -6.075
H -0.266 5.154 -4.566
H -3.288 5.660 -6.453
H -4.269 5.209 -5.096

Record 5
Below is a gas-phase ion, C5H9N6 (charge +1), with properties calculated with ωB97M-V/def2-TZVPD.

Computed properties:
molecular weight: 153.169 g/mol
E_tot: -524.1198 Eh
charge: +1
ΔE to the lowest compared entry with this formula, charge and spin: 1.016 eV
Kohn-Sham gap: 8.09 eV
SMILES string: [H]/N=C1/C=CN/C(=C/N=[NH2+])N1N

Element x y z (Å)
H 3.506 0.812 0.701
N 3.287 -0.185 0.778
C 2.164 -0.640 0.414
C 2.005 -2.038 0.241
C 0.896 -2.535 -0.313
N -0.139 -1.698 -0.636
C -0.082 -0.385 -0.277
C -1.381 0.141 -0.082
N -1.586 1.344 0.150
N -2.783 1.840 0.422
N 1.101 0.197 -0.072
N 1.162 1.511 0.116
H 2.834 -2.589 0.539
H 0.731 -3.600 -0.604
H -1.154 -2.067 -0.646
H -2.123 -0.710 -0.100
H -3.544 1.279 0.149
H -2.891 2.785 0.269
H 2.120 1.852 0.116
H 0.408 1.930 0.615

Record 6
********

Outcome >
Record 1
Below is a single C5H9N5O molecule, with properties calculated with ωB97M-V/def2-TZVPD.

Computed properties:
molecular weight: 155.161 g/mol
E_tot: -544.7594 Eh
charge: 0
ΔE to the lowest compared entry with this formula, charge and spin: 5.345 eV
Kohn-Sham gap (spin up / spin down): 7.83 / 7.83 eV

Element x y z (Å)
C 1.374 -1.170 -1.599
C 1.362 0.098 -2.104
C -0.795 0.051 0.888
C -1.809 -1.332 2.811
C -0.598 -0.958 2.002
N 0.682 -1.311 -0.466
N 0.157 -0.034 -0.132
N 0.582 0.831 -1.201
N 1.076 2.703 -2.353
N 0.429 2.090 -1.243
O -1.644 0.931 0.856
H 2.021 -1.934 -2.046
H 1.688 0.599 -3.052
H -2.767 -1.449 2.105
H -1.667 -2.184 3.415
H -1.956 -0.399 3.399
H -0.114 -1.930 1.524
H 0.174 -0.648 2.740
H 0.989 3.714 -2.348
H 0.819 2.332 -3.197

Record 2
Below is 2 unconnected molecules or ions with the total composition C5H9N5O2, with properties calculated with ωB97M-V/def2-TZVPD.

Computed properties:
molecular weight: 171.160 g/mol
E_tot: -620.1715 Eh
charge: 0
ΔE to the lowest compared entry with this formula, charge and spin: 0.000 eV
Kohn-Sham gap: 9.38 eV
SMILES string: Nc1ncc(C=O)c(=O)n1N.N

Element x y z (Å)
N -1.668 -1.709 -0.529
C -0.367 -1.276 -0.363
N 0.545 -2.163 0.002
C 1.763 -1.635 0.283
C 2.102 -0.341 0.180
C 3.424 0.161 0.549
O 3.739 1.279 0.854
C 1.192 0.599 -0.371
O 1.403 1.718 -0.763
N -0.098 0.047 -0.586
N -0.884 0.819 -1.432
H -2.342 -1.116 -0.890
H -1.647 -2.651 -0.205
H 2.532 -2.332 0.551
H 4.104 -0.681 0.579
H -0.339 1.703 -1.618
H -1.685 1.116 -0.916
N -2.915 1.359 1.007
H -3.644 2.032 0.638
H -2.052 1.905 0.986
H -3.165 1.167 2.044

Record 3
Below is a molecular structure, C5H9N5PdSe2Te2, with properties calculated with ωB97M-V/def2-TZVPD.

Computed properties:
molecular weight: 658.702 g/mol
E_tot: -5936.5404 Eh
charge: -2
ΔE to the lowest compared entry with this formula, charge and spin: 1.182 eV
Kohn-Sham gap: 4.69 eV

Element x y z (Å)
Pd 0.243 -0.422 0.501
Se 0.180 -1.867 4.720
Te 0.068 -2.169 2.290
Te 2.378 -1.561 1.120
Se 0.688 -0.050 -1.949
N 1.909 3.776 -1.393
C 1.860 2.836 -0.388
N 2.923 2.018 -0.265
N 0.893 2.925 0.474
C 0.653 2.005 1.387
N 0.345 1.396 2.333
H 2.286 3.406 -2.253
H 1.011 4.214 -1.522
H 3.401 1.793 -1.124
H 2.719 1.166 0.251
C -3.070 -2.875 -0.300
C -1.862 -2.127 -0.872
C -1.680 -0.836 -0.181
N -1.917 0.186 0.348
H -3.118 -3.883 -0.716
H -3.997 -2.351 -0.541
H -2.992 -2.944 0.786
H -1.966 -1.912 -1.937
H -0.955 -2.725 -0.769

Record 4
Below is a molecular structure, C5H9N5Tl, with properties calculated with ωB97M-V/def2-TZVPD.

Computed properties:
molecular weight: 343.545 g/mol
E_tot: -640.9858 Eh
charge: +3
Kohn-Sham gap (spin up / spin down): 7.37 / 4.98 eV

Element x y z (Å)
Tl -0.629 2.152 1.262
C 0.055 -0.819 7.755
C 0.762 -1.092 6.476
C 0.453 -0.361 5.309
N 0.195 0.246 4.338
H 0.153 -1.656 8.449
H -0.971 -0.469 7.651
H 0.621 -0.004 8.271
H 0.621 -2.193 6.165
H 1.875 -1.231 6.535
N -1.052 5.358 -5.163
C -2.285 5.140 -4.756
N -3.349 5.360 -5.488
N -2.545 4.683 -3.489
C -2.003 4.158 -2.499
N -1.609 3.651 -1.499
H -0.852 5.751 -6.075
H -0.266 5.154 -4.566
H -3.288 5.660 -6.453
H -4.269 5.209 -5.096